Waltrack API Proxy & BYOK

A proxy service around the WalmartIO API.

Don't mess around with private keys. Create your unique key pair in your dashboard, upload they public key to the WalmartIO dashboard, and call the Walmart API via our proxy from anywhere.

import os
import requests

# waltrack API key

# Pass the URL of the Walmart API you want to call
url= "https://developer.api.walmart.com/api-proxy/service/affil/product/v2/paginated/items?count=20&available=true"

params = {"api_key": api_key, "url": url}

r = requests.get("https://apiproxy.waltrack.net/api", params=params)

# The response and status code are exactly what the Walmart API sent back

> 200

Waltrack API Proxy



The WalmartIO API is a very strange beast. It requires you to upload a public key, and sign the headers of the request you make with a private key.

This makes it hard to work with, because you have to mess around with the private key.

That's why Waltrack created the Waltrack API Proxy.

Simply create a key pair in your Waltrack dashboard, upload the public key in the WalmartIO dashboard, and call the Walmart API via our proxy endpoint and your unique API key.

The proxy is 100% transparent, so the status code and body it returns comes straight from the WalmartIO response.

We don't call the WalmartIO API with your credentials ever, wi

Creating your key pair

Go to your Waltrack dashboard and create a key pair.

Create your key pair in the Waltrack dashboard

You will then have your unique public key which you'll have to copy.

Created your key pair in the Waltrack dashboard

Head over to the WalmartIO dashboard and go to "applications"

Created your key pair in the Waltrack dashboard

If you haven't yet created an application, create one. You will then have the option to upload a public key.
(in our screenshot it's grayed out because we already uploaded one)

Upload your public key in the WalmartIO dashboard

Someone pasted calculated molecules at this point =
-- begin --
Entry 1:
Formula: C6H10O
Source: OMol25
Level of theory: ωB97M-V/def2-TZVPD

Values from the calculation:
2S+1: 1
structure (SMILES): C=C(C)/C=C/CO
net charge: 0

Geometry as XYZ:
```
17
Properties=species:S:1:pos:R:3:mulliken_charge:R:1
H 0.834 -2.374 1.785 0.377
H -1.293 -2.540 -1.169 0.257
C -0.022 2.307 -0.988 -0.253
C -0.382 -0.200 -0.630 -0.449
H -0.954 -0.361 -1.535 0.272
H -0.468 -3.482 0.234 0.263
C 0.000 1.006 -0.220 -0.273
C -0.667 -2.560 -0.289 -1.002
H 0.417 1.145 0.776 0.170
C 0.715 -1.357 1.424 -1.319
H -1.076 2.426 -1.286 0.233
O 0.362 3.465 -0.282 -0.507
H 0.570 2.286 -1.898 0.287
H 0.277 -0.641 2.113 0.323
H 1.704 -1.087 1.062 0.317
C -0.236 -1.401 0.232 1.015
H 0.217 3.371 0.669 0.289
```

***

Entry 2:
Formula: C6H10O
Source: OMol25
Level of theory: ωB97M-V/def2-TZVPD

Values from the calculation:
2S+1: 1
net charge: 0

Geometry as XYZ:
```
17
Properties=species:S:1:pos:R:3:mulliken_charge:R:1
H -1.177 -1.847 2.263 0.310
H -0.480 -1.985 -0.736 0.283
H 0.387 -2.856 0.639 0.267
C -1.065 -1.347 1.295 -0.152
H 2.040 1.448 -0.298 0.268
C 1.006 1.661 -0.582 -0.662
C -0.259 -2.026 0.324 -0.747
H -0.681 2.046 0.818 0.362
C 0.048 -0.079 1.244 -0.719
H 0.786 -0.242 -1.650 0.198
H 0.940 2.719 -0.879 0.266
H -2.013 -0.977 0.904 0.219
H 0.095 1.124 -2.594 0.347
O -0.889 0.726 -0.811 -0.454
C 0.311 0.748 -1.594 -0.358
H 1.113 -0.296 1.314 0.347
C -0.162 1.183 0.343 0.227
```

***

Entry 3:
Formula: C6H10O
Source: OMol25
Level of theory: ωB97M-V/def2-TZVPD

Values from the calculation:
2S+1: 1
structure (SMILES): O[C@@H]1CC[C@@H]2C[C@@H]21
net charge: 0

Geometry as XYZ:
```
17
Properties=species:S:1:pos:R:3:mulliken_charge:R:1
C -1.731 0.020 0.144 -0.995
C 1.580 0.209 0.069 -0.719
H 0.269 1.360 1.347 0.263
H -0.939 -1.169 -1.608 0.417
H -0.965 1.377 -1.421 0.390
H -0.572 -1.540 0.721 0.416
H -1.703 -0.057 1.230 0.305
C -0.603 -0.666 -0.700 -0.525
C 0.519 1.296 0.281 -0.818
H 1.261 -1.914 -0.465 0.389
O 0.272 -1.495 1.303 -0.613
H -2.741 0.016 -0.272 0.316
C 0.773 -1.080 0.055 0.054
H 2.378 0.223 0.821 0.339
H 2.038 0.315 -0.922 0.308
C -0.686 0.822 -0.539 0.114
H 0.851 2.283 -0.045 0.359
```

***

Entry 4:
Formula: C6H10O
Source: OMol25
Level of theory: ωB97M-V/def2-TZVPD

Values from the calculation:
2S+1: 1
net charge: 0

Geometry as XYZ:
```
17
Properties=species:S:1:pos:R:3:mulliken_charge:R:1
C 3.641 0.075 -0.662 -0.821
C 2.181 0.020 -0.571 0.143
H 2.972 1.077 -0.376 0.155
C 1.419 0.146 0.616 -0.696
C 0.073 -0.464 0.532 -0.486
O -3.650 0.149 -0.092 -0.522
H 1.607 -0.082 -1.548 0.271
H -1.053 1.263 -0.449 0.452
H 0.122 -1.247 -0.264 0.268
H 4.214 0.134 -1.601 0.276
H -0.371 -0.943 1.424 0.406
C -2.540 -0.360 0.019 -0.112
H -1.744 0.320 1.192 0.167
C -1.262 0.396 0.165 -0.410
H 1.527 1.164 1.014 0.238
H 4.049 -0.368 0.230 0.281
H -2.492 -1.449 0.068 0.391
```

***

Computed values of LUMO energy (unit: eV) for the preceding records, in sequence: 0.924, 0.619, 1.076, 0.610.
-- stop --
So much for the calculated molecules =

Paste the public key there.
If you just want to have access to the affiliate API to query products, you are fine with the staging environment.
You can use the same public key for both Production & Staging.

Upload your public key in the WalmartIO dashboard

When you go back to the applications overview, you'll see your consumer ID and Key version (between parenthesis).

Upload your public key in the WalmartIO dashboard

Copy both and paste them in your Waltrack Dashboard

Upload your public key in the WalmartIO dashboard

Congratulations, you are now ready to make your first API call.

Making your first API call

On the right side of the BYOK dashboard, you'll see your Waltrack Proxy API key. You can recognize it from the prefix wt_byok_.

To make an API call, you make a GET request to: https://apiproxy.waltrack.net/api

It requires two URL parameters:

api_key: The API key you can find on the right hand side in your Waltrack BYOK dashboard.

url: Url of the WalmartIO Affiliate API to call. Read the WalmartIO documentation for more info.

Code Samples

import os
import requests

# searching for a keyword

api_key = os.getenv('WALTRACK_API_KEY')

keyword = "tv"

api_url = "https://apiproxy.waltrack.net/api"

url = f"https://developer.api.walmart.com/api-proxy/service/affil/product
/v2/search?publisherId={Your Impact Radius Publisher Id}&query={keyword}"

params = {
 "url": url,
 "apiKey": api_key

r = requests.get(api_url, params=params)


> 200 
make sure you only call the proxy API from your server,
so not in a web browser or extension

Getting recommendations for a product:


const apiUrl = "https://apiproxy.waltrack.net/api"

const productId = 36904791;

const url = `https://developer.api.walmart.com/api-proxy/service/

const apiKey = process.env.WALTRACK_API_KEY;

r = await fetch(`${apiUrl}?apiKey=${apiKey}&url=${url})`)';


> 200